I had the pleasure of hosting Rob Little and his partner Karen Kearns for 2 weeks. Rob, a retired Professor from the Fitzpatrick institute of Ornithology at the University of Cape Town and I had planned this trip for a long time. However; Covid had put a hold to previous attempts of him getting here. Rob had been to Tanzania, Uganda and Kenya before, but he still had quite a big target list. The job for Abdul and me was of course to find as many as possible of those birds for him. Rob recently published a book “Game Birds of Africa. He had a signed copy for me as a welcome gift. Rob is not a bird photographer, so I had not too much time to take pictures on this trip. The quality of some of the images is therefore not up to normal standard.
Day 1, Saturday, September 25 – Pick up at airport and birding on Kiligolf
Rob and Karen flew in on the Ethiopian flight direct from Addis Ababa landing in the early afternoon. This gave us time for an afternoon birdwalk on Kiligolf. We started at 16:00 for a couple of hours walk. We recorded about 50 species where 8 was lifers for Rob: Vitelline Masked Weaver (my garden), Northern Brownbul, Purple Grenadier, African Grey Flycatcher, Brown-breasted Barbet, Pale White-eye, Bare-eyed Thrush and after we came home Yellow-spotted Bush-Sparrow (Petronia) in my garden. Rob had only had fleeting views of the Grant´s Francolin before and he was delighted to see them coming to my bird feeder. He had a target list so we could probably find a few more birds, but those were his targets for Kiligolf and we cleaned them out. All in all a good afternoon walk.
Some birds from my garden

Grant´s (Crested) Francolin, Ortygornis grantii – Picture from my archives

Black-faced Waxbill, Estrilda erythronotus

Spotted Palm Thrush, Cichladusa guttata, Endemic to NE Africa

Red-billed Firefinch, Lagonosticta senegala
Day 2, Sunday, September 26 – My house – Lark Plains- Oldonyo Sambo – Lake Duluti
We had an early start and arrived at the Lark Plains at around 07:30. On the way to the place we normally find the Beesley´s Lark, Rob picked up a few more lifers: Tiny Cisticola, Taita Fiscal, Foxy Lark, Red-fronted Prinia (Warbler) and Northern Wheatear. We drove to our normal spot, parked the car but our Masai guides where nowhere to be seen. Abdul walked off and started looking. The Masais finally arrived and took us straight to our main target: Beesley´s Lark. We returned to the car and had a quick breakfast. We packed up and drove slowly towards Saruni´s Boma (One of the Masais). Around the car we got two new lifers for Rob: Banded Parisoma and Chestnuit-bellied Sandgrouse. On the way to the Boma we got both Southern Grosbeak and White-bellied Canary. We parked the car for a small walk around the Boma and the very dry acacia forest there. We were running out of target birds, but picked up: Kenya Sparrow, Grey-capped Social Weaver, Red-fronted Barbet and Red-throated Tit. We dipped on Pygmy Batis, but had other places for that bird, so we were not too worried. We returned to the car and drove towards Oldonyo Sambo. We have a spot there for Lyne´s Cisticola, it is quite a walk and it was in the heat of the day so Rob opted to leave that one behind. Instead we compensated with a Little Rock Thrush and Fischer´s Lovebirds. We were running way ahead of schedule and returned to the car. Next destination was lake Duluti. It is quite a drive and a lot of traffic, but it is on the way home. Our first target bird here was the Grey Olive Greenbul. We tried everything, we could, but the bird did not grant us a view. We went down to the crater lake and to my horror the lake had risen even more than last time. The Taveta Weaver colony that usually nest right in front of us was gone since the reeds were under water. Abdul knew another spot on the way home. We stopped there and sure enough we had views of a male and a female Taveta Weaver. Getting closer to home I told Abdul that he should try the Grey Olive Greenbul on a certain bridge. He had no high hopes, but I know the bird hangs around there and sure enough they got excellent views. We were home around 15:00 (a new record). Dinner was at 20:00 so I suggested we take a little drive inside our estate to find the Slender-tailed Nightjar. When people land late at night with KLM, my record has been 18 of them on the road. Due to a Golf Tournament that day, there was too much traffic, but almost back at home we found a very confiding one that Abdul almost managed to touch before it flew off. The day yielded 19 lifers for Rob who was a very happy camper. Selvine served us a lovely meal and we all retired early to bed.
Some pictures from day 2:

Beesley´s Lark, Chersomanes beesleyi, Endemic to a small patch north of Arusha, Tanzania

Karen and Rob celebrating good views of Beesley´s Lark

Banded Parisoma, Sylvia boehmi, Endemic to NE Africa

Grey-capped Social Weaver, Pseudonigrita arnaudi, Endemic to NE Africa

Red-throated Tit, Parus fringillinus, Endemic to N Tanzania and S Kenya
Day 3, Monday, September 27 – My house -Mererani and onwards towards the Masai Steppes.
We had an early start again and decided to drive the long way via the airport to avoid the bumpy roads. We arrived at 07:30. We had White-headed Mousebirds and Pringle´s Puffback (not targets for Rob). We heard the unmistakable call of the Pink-breasted Lark and found it with ease. Then there were some babbling just at the tree were we had parked and a family of Scaly Chatterers were hiding in there making for another easy tick. At the next stop, we found 3 targets: Hunter´s Sunbird, Tsavo Sunbird and Pygmy Batis. We stopped for Rob to get a better view of Bare-eyed Thrush before we drove to our normal breakfast spot. We were again running low on target birds and a small walk yielded two of them; Buff-crested Bustard and Somali Bunting. We continued a little further on the road where there is a nesting colony of Black-capped Social Weavers. They were busy repairing their nests and an easy target. Only 2 target birds to go for the day. We turned and drove back took a turn towards the man made lake. We tried to have lunch in the shade, but it was now around noon so shade was hard to find. We were scanning the lake shore for small birds drinking and there it was the Grey-headed Silverbill. We stopped a few hundred meters down the road and scanned and a single Golden-breasted Starling was sitting in good view. It was not even 14:00, but time to head back home. Rob had 10 lifers in his bag. We relaxed by the pool had a few beers, got served a delicious meal again and retired early to bed. Abdul packed the car for us for the safari that would start the day after.

Scaly Chatterer, Turdoides aylmeri, Endemic to NE Africa

African Hawk Eagle, Aquila spilogaster

Hunter´s Sunbird, Chalcomitra hunteri, Endemic to NE Africa

Northern Crombec, Sylvietta brachyura

Melanistic Gabar Goshawk, Micronisus gabar

Black-capped Social Weaver, Pseudonigrita cababisi, Endemic to NE Africa
Day 4, Tuesday, September 28 – My House – Same and South Pare Mountains.
Let the Safari begin. We were really not in a real hurry this morning since we had bagged all the dry country specials. I normally stop at some habitat close to Nyumba Ya Mungu Dam on the way to Same, but there were no new target birds for us there so we continued to Same and drove to a little known habitat just outside Mkomazi National Park. It was already 10:30 when we reached our spot, but there was still some activity. Spot-flanked Barbet, D´Arnaud´s Barbet, Black-bellied Sunbird and Eastern Black-headed Batis were bagged. We just could not find the Mouse-coloured Penduline Tit. Abdul heard it, but we could not get eyes on it. We drove to Elephant Motel in Same where we checked in, had lunch and relaxed a couple of hours during the mid day heat. We were back in the car in the afternoon and drove up the South Pare Mountains. The roads were surprisingly good and we did good on time. The target here is of course the South Pare White-eye. We reached the peak at 16:00 and it was still too hot. we searched a little and could hear them, but they did not want to show. We got a Stripe-faced Greenbul and Usambara Double-collared Sunbird. We walked on the road through the forest a few times and we were about to give up. I suggested one more walk through the prime spot and sure enough I estimate a flock of up to 50 South Pare White-eye flew in to a tree next to the road and then after a while crossed the road. We returned to the car and drove back to the Motel where we freshened up and had dinner. Rob managed 7 lifer on this day and we had only dipped on the Mouse-colored Penduline Tit which we had a chance for the morning after.

Black-bellied Sunbird, Cinnyris nectarinoides, Endemic to NE Africa

Spotting for the South Pare White-eye

Usambara Double-collared Sunbird, Cinnyris usambaricus, Endemic to S Pare and Usambara Mountains, Tanzania

Tambourine Dove, Turtur tympanistria
Day 5, Wednesday, September 29 – Same – Magamba Forest, West Usambara
We were not in a hurry this morning either, but we had a date with a certain bird just outside the gate to Mkomazi. We stopped there and Abdul was on to the Mouse-coloured Penduline-Tit right away. We spent a little bit of time just walking the road and picked up some good birds, but nothing new on the target list. We returned to the Motel for breakfast, packed up and was soon on our way. There is 116 km to Mombo where we take off the main road and start climbing up towards Lushoto. We stopped in Soni where we stacked up on some groceries etc. We arrived at the entrance quite early, did the paperwork with my friend Gertruda there. Only 7 km more up to camp. There had not been much rain, so the road was in a pretty good shape. Once in camp, we rigged up had a quick rest and then started the afternoon walk uphill from camp. It was a very rewarding walk: Sharpe´s Starling, Hartlaub´s Turaco, Red-capped Forest Warbler, Waller´s Starling, Moustached Tinkerbird, Fülleborn´s Boubou and Black-headed Mountain Greenbul. I returned to camp before the others and had started cooking a chicken casserole. I had observed another target bird, Streaky Seed-eater while I was cooking and knew were to find it the day after. 8 lifers for Rob on this day. The gang returned we lit the fire and had a good time around the bonfire.

== Inserted here: materials data ==
........
Entry 1:
The following is a calculated powder diffractogram of Nd2Ta3Se2O8. It was derived from the PBE geometry in the Materials Project, using a wavelength of 1.5418 Å.
No peak broadening, texture or thermal motion is included.

Most intense lines, 5° ≤ 2θ ≤ 70°, by intensity:
2θ = 29.12°, rel. 100
2θ = 27.86°, rel. 99
2θ = 27.68°, rel. 60
2θ = 30.78°, rel. 39
2θ = 30.37°, rel. 39
2θ = 47.51°, rel. 38
2θ = 53.52°, rel. 36
2θ = 14.82°, rel. 35
2θ = 37.23°, rel. 30
2θ = 33.69°, rel. 29

Atomic structure:
```
data_Nd2Ta3Se2O8
_space_group_name_H-M_alt 'P n n m'
_space_group_IT_number 58
_cell_length_a 9.9733
_cell_length_b 11.9551
_cell_length_c 7.6546
_cell_angle_alpha 90.00
_cell_angle_beta 90.00
_cell_angle_gamma 90.00
loop_
_space_group_symop_operation_xyz
'x,y,z'
'-x,-y,-z'
'-x,-y,z'
'x,y,-z'
'x+1/2,-y+1/2,-z+1/2'
'-x+1/2,y+1/2,z+1/2'
'-x+1/2,y+1/2,-z+1/2'
'x+1/2,-y+1/2,z+1/2'
loop_
_atom_site_label
_atom_site_type_symbol
_atom_site_fract_x
_atom_site_fract_y
_atom_site_fract_z
_atom_site_occupancy
Nd1 Nd 0.2098 0.1565 0.0000 1
Nd2 Nd 0.2270 0.1488 0.5000 1
Ta1 Ta 0.0000 0.5000 0.2856 1
Ta2 Ta 0.1356 0.9157 0.2498 1
Se1 Se 0.0185 0.3357 0.5000 1
Se2 Se 0.0233 0.3600 0.0000 1
O1 O 0.0571 0.1034 0.2547 1
O2 O 0.1341 0.9492 0.0000 1
O3 O 0.1493 0.9512 0.5000 1
O4 O 0.1975 0.5246 0.2637 1
O5 O 0.2135 0.7750 0.2470 1
```

---

Entry 2:
The following is a calculated powder diffractogram of Nd5Si3O13. It was derived from the PBE geometry in the Materials Project, using a wavelength of 1.5418 Å.
No peak broadening, texture or thermal motion is included.

Most intense lines, 5° ≤ 2θ ≤ 70°, by intensity:
2θ = 30.87°, rel. 100
2θ = 31.26°, rel. 65
2θ = 27.31°, rel. 45
2θ = 28.12°, rel. 42
2θ = 45.33°, rel. 35
2θ = 31.98°, rel. 34
2θ = 21.16°, rel. 33
2θ = 48.00°, rel. 33
2θ = 50.53°, rel. 31
2θ = 49.77°, rel. 29

Atomic structure:
```
data_Nd5Si3O13
_space_group_name_H-M_alt 'P 63'
_space_group_IT_number 173
_cell_length_a 9.6946
_cell_length_b 9.6946
_cell_length_c 7.0904
_cell_angle_alpha 90.00
_cell_angle_beta 90.00
_cell_angle_gamma 120.00
loop_
_space_group_symop_operation_xyz
'x,y,z'
'x-y,x,z+1/2'
'-y,x-y,z'
'-x,-y,z+1/2'
'-x+y,-x,z'
'y,-x+y,z+1/2'
loop_
_atom_site_label
_atom_site_type_symbol
_atom_site_fract_x
_atom_site_fract_y
_atom_site_fract_z
_atom_site_occupancy
Nd1 Nd 0.0085 0.7695 0.0000 1
Nd2 Nd 0.3333 0.6667 0.2523 1
Nd3 Nd 0.3333 0.6667 0.7555 1
Si1 Si 0.0279 0.6299 0.4996 1
O1 O 0.0000 0.0000 0.4539 1
O2 O 0.0822 0.7557 0.6783 1
O3 O 0.0992 0.7436 0.3114 1
O4 O 0.1210 0.5273 0.5132 1
O5 O 0.1664 0.4820 0.9973 1
```

---

Entry 3:
The following is a calculated powder diffractogram of NdSiO4. It was derived from the PBE geometry in the Materials Project, using a wavelength of 1.5418 Å.
No peak broadening, texture or thermal motion is included.

Most intense lines, 5° ≤ 2θ ≤ 70°, by intensity:
2θ = 24.61°, rel. 100
2θ = 32.85°, rel. 68
2θ = 18.44°, rel. 59
2θ = 48.82°, rel. 56
2θ = 30.92°, rel. 24
2θ = 39.91°, rel. 23
........

Camp in Magamba Forest

Sharpe´s Starling, Pholia sharpii, Endemic to NE Africa

Hartlaub´s Turaco, Tauraco hartlaubi, Endemic to E Africa

Red-capped Forest Warbler, Artisornis metopias, Endemic to Eastern Arc Mts of Tanzania and N Mozambique

The master chef in action
Day 6, Thursday, September 30 – Magamba Forest
We had a full day in Magamba Forest. I had Coffee ready at 06:45. We hung around camp for a while waiting for the light. While waiting we got the Streaky Seed-eater. At 07:30 we started the walk and had nice views of an Oriole Finch. We walked up to the normal Usambara Weaver spot and sure enough today it was home. I decided we walk a little down to try for some of the other target birds. We stopped at our normal Bar-tailed Trogon spot and soon had good views. I left the others in order to go back and prepare breakfast. When they arrived they had also picked up the Montane Tiny Greenbul. We had breakfast and relaxed for a while until it was time for the afternoon walk. We managed to find the Usambara Thrush pretty quick, but were struggling with the Usambara Akalat at the normal spot. I told them I had a spot just a couple of hundred meters down from camp and we decided to give it a try. The Usambara Akalat popped up. We returned very happy to camp knowing we had all of the West Usambara specials already. We had a nice dinner some more stories by the bonfire and we also decided that we only stay one more night at Magamba. All the time in Magamba, we had a Barred Long-tailed Cuckoo calling, but we never managed to get a view of it.

Southern Citril, Chritagra hyposticta, Endemic to SE Africa

Cape Robin-Chat, Cossypha caffra

Usambara Akalat (a little late with the shot), Sheppardia montana, Endemic to Western Usambara, Tanzania
Day 7, Friday, October 1 – Magamba Forest West Usambara to Amani Forest East Usambara
Abdul and Rob went for the morning walk while Karen and I stayed behind and packed camp. When they returned to camp they had managed to get Spot-Throat and African Hill Babbler. We had breakfast and was soon on our way from about 2000 meters down to Mombo at about 300 meters. We arrived safely and had our next stop in Muheza to buy some supplies. We stopped a few km out of Muheza for the Coastal Cisticola. We drove up in the forest and stopped at our normal spott for the Usambara Hyliota, but despite having a nice bird party in front of us, no sign of the Hyliota. We continued to camp and checked in. We still had time for a little walk so to save time I took the car down to the normal spot and found very quickly a male and female Banded Green Sunbird + a pair of Kenrick´s Starling. We drove back to camp, freshened up and went down for dinner. We were all too tired to even think about the Usambara Eagle-Owl that night.

A small frog visited our porch

Banded Green Sunbird, Anthreptes rubritorques, Endemic to Eastern Arc Mts. of Tanzania

Silvery-cheeked Hornbill, Bycanistes brevis

The boys are having a well deserved refreshment after a long day
Day 8, Saturday, October 2 – Full day Amani Forest.
We loaded the car early with packed breakfast and headed a little further up in Amani Forest. The two targets Kretchmer´s Longbill and Long-billed Forest Warbler proved not to hard to fine.The habitat they used to stay in had disappeared, but we found them in similar habitat not far away. As a bonus Rob spotted a Fischer´s Greenbul. With those two in box, we moved on to another patch of forest in order to find the elusive Sharpe´s Akalat. The road was very wet and at one point I managed to get stuck. After some time we managed to get my Landy out of the mud and was ready for the challenge. We picked up the sound pretty quick, but to get a good view of these elusive birds are not easy. In the end, we all had good views and I even managed to get a passable picture. We returned to camp for lunch. After a small siesta we were ready to walk the botanical garden, but the only new addition to the target list was Uluguru Violet-backed Sunbird. We were still missing the Fischer´s Turaco, but Abdul and I have a spot for that as well. We stopped in a village and Abdul lead the group. They came back with smiles all over. Another in the box. We returned to camp, had dinner and decided that we did not need an extra night in Amani (This is the first time ever I have done Amani with only 2 nights).


Landy in Sharpe´s Akalat territory, Picture by Rob

Sharpe´s Akalat, Sheppardia sharpei, Endemic to Eastern Arc Mountains
Day 9, Sunday, October 3 – Amani Forest – My house
We packed up the car in the morning and drove down to the lower part of the forest. Still no sign of the Usambara Hyliota, so we continued all the way home. Normally we stop in Same for an afternoon walk and a morning walk, but since we had cleaned up there, it did not make any sense. Sunday is a very nice day to drive in Tanzania due to most traffic police are having the day off. We made good time and could park the car in my driveway at 16:30. We were greeted by Selvine that soon had a delicious dinner served for us.
Day 10, Monday, October 4 – My house
We had done the Safari in record time (5 nights vs normally 7-8). It certainly helped that Rob was not a photographer. We decided to just wind down on this day and tell some stories by the pool and at dinner. It aslo turned out that Karen was an expert seamstress. I have an old Bernina sewing machine that I inhereted from my late mother. Selvine and I have been trying to master this monster without too much success, but with Karen´s ample help, Selvine is now doing very good with the machine.

Selvine is getting instructions from the expert.
Day 11, Tuesday October 5 – My house to Arusha National Park.
Rob had one prime target to day, The Schuett´s (Scaly) Spurfowl. I had an idea where to find it and we went straight for the Ngurduto crater and took the left fork. we drove and drove, but there at the glades we had a pair feeding in the road just in front of us. We stopped and had a refreshment and as Rob and I celebrated, Abdul quickly got on to a Brown Woodland Warbler. We turned the car and around one of the first bend we found a Rüppel´s Robin-Chat. We went up the other fork of the Ngurduto Crater, stopped at our usual picnic spot and had breakfast. Whilst eating we were entertained by a Broad-ringed White-eye. After breakfast, we crossed the park and started going up Mount Meru. We heard the Abyssinian Crimsonwing several places, but could not see it. We stopped at the Fig tree and Abdul quickly found a Thick-billed Seed-eater. We continued up towards the waterfall and just before the waterfall, we had good views of the Abyssinian Crimsonwing. We had lunch by the beautiful water fall and had gotten all our targets for today, so we started slowly on our way back home. Another good day.

Schuett´s (Scaly) Spurfowl, Pternistis Schuetti

A big lifer for Rob needed to be celebrated even though it was not 4 thirsty yet 🙂

Rüppel´s Robin-Chat, Cossypha semirufa, Endemic to NE Africa

Broad-ringed White-eye, Zosterops eurycricotus, Endemic to Mt Meru and Mt Kilimanjaro, Tanzania
Day 12, Wednesday, October 6 – My house – Nanja
Rob was now left with only 2 target birds and Abdul and I had a very good idea where to find them. We drove to the little Masai Village of Nanja, took off the main road and headed for the lake nearby. Our first target was the Thika (Coqui) Francolin. We soon heard they call some distance away and drove closer and closer. My guests were eager and got out of the car. I tried to tell them to get back in, but to no avail. Rob got fleeting looks. When everyone was back in the car, we continued the chase and at one point we had them only a meter from the car providing excellent views for everyone. Now, with only one bird left, the Northern Pied Babbler, we drove to every small tree in the vicinity and after 10-15 minutes search we came upon a group of them. It was still early, but with all the birds in the box, we decided to head back home and relax by the pool.

Thika (Coqui) Francolin, Campocolinus thikae, endemic to Tanzania ans Kenya. Picture from archive and in Rob´s book

Isabelline Wheatear, Oenanthe isabellina
Day 13, Thursday, October 7 – Kalinga Forest – Mt. Meru Hospital – Home.
One bird the Forest (Short-tailed) Batis had eluded us on the entire trip. We decided to give it one more go at the nearby Kalinga Forest. However; no luck. We went to the Hospital instead for Karen and Rob to get their PCR test done. In the afternoon we went through the lists and found out that Rob had gotten 78 lifers on the trip. He was quite happy about that.

Getting a dedicated copy of Rob´s book in my garden
Day 14, Friday, October 8 – My house – Kilimanjaro International airport.
Rob and Karen decided to have a relaxed day by my house and at 15:00 I drove them to the airport. Only problem was that they had not gotten their Covid certificates yet. I hung around the airport and waited and by 17:00, the test came through and I could print them and deliver them to Rob. End of trip